ICOMOS Lezing: Public Monuments, Memory & Identity – a discussion across borders, Livecast 9 september 2020

Gepubliceerd op: 25 augustus 2020

De livecast ICOMOS lezing van 9 september gaat in op een wel heel actueel thema: hoe kijken wij aan tegen de recente beeldenstorm rond monumenten van historische figuren – eens als helden neergezet, maar die in het huidige racisme-debat symbool staan voor onderdrukking, slavernij en Westerse suprematie?


By the ICOMOS Lecture Committee Netherlands

We hope you are doing well. Considering the circumstances and experiences of our lecture evening in June, we decided to continue with our monthly lectures online. We hereby invite you to the upcoming lecture and discussion evening on 9 September. You can register by emailing lezingen@icomos.nl. Afterwards you will receive additional information to view the Livecast (via Zoom) for free. Please note that the event will be recorded, thus we ask you to let us know if you have any objections to being recorded. We hope you will join us digitally.

Kind regards,

Ardjuna Candotti, Daan Lavies, Jean Paul Corten, Job Pardoel, Maurits van Putten, Remco Vermeulen, Sofia Lovegrove & Thijs van Roon 

Public monuments, memory and identity: a discussion
across borders

Misplaced crystal structures
# AcPm2YS6, relaxed, DFT GGA-PBE
# Formation energy from raw total energies in meV per atom: -2054
data_AcPm2YS6
_chemical_formula_sum 'Ac1 Pm2 Y1 S6'
_space_group_name_H-M_alt 'P 1'
_space_group_IT_number 1
_cell_length_a 7.197
_cell_length_b 7.197
_cell_length_c 7.559
_cell_angle_alpha 61.57
_cell_angle_beta 61.57
_cell_angle_gamma 60.00
loop_
_space_group_symop_operation_xyz
'x,y,z'
loop_
_atom_site_label
_atom_site_fract_x
_atom_site_fract_y
_atom_site_fract_z
S1 0.925 0.608 0.247
S2 0.608 0.219 0.247
Y1 0.317 0.317 0.050
S3 0.146 0.389 0.751
Pm1 0.522 0.522 0.434
S4 0.219 0.925 0.247
S5 0.715 0.146 0.751
Ac1 0.806 0.806 0.583
S6 0.389 0.715 0.751
Pm2 0.015 0.015 0.954

=====

# Ac2PmYS4, relaxed, DFT GGA-PBE
# Formation energy from raw total energies in meV per atom: -1998
data_Ac2PmYS4
_chemical_formula_sum 'Ac2 Pm1 Y1 S4'
_space_group_name_H-M_alt 'P 1'
_space_group_IT_number 1
_cell_length_a 4.064
_cell_length_b 7.090
_cell_length_c 7.350
_cell_angle_alpha 108.56
_cell_angle_beta 90.00
_cell_angle_gamma 90.00
loop_
_space_group_symop_operation_xyz
'x,y,z'
loop_
_atom_site_label
_atom_site_fract_x
_atom_site_fract_y
_atom_site_fract_z
Ac1 0.500 0.000 0.500
S1 0.000 0.747 0.227
S2 0.500 0.235 0.223
Y1 0.000 0.000 0.000
Ac2 0.000 0.500 0.500
S3 0.000 0.253 0.773
S4 0.500 0.765 0.777
Pm1 0.500 0.500 0.000

=====

# Ac3PmY2S6, relaxed, DFT GGA-PBE
# Formation energy from raw total energies in meV per atom: -1999
data_Ac3PmY2S6
_chemical_formula_sum 'Ac3 Pm1 Y2 S6'
_space_group_name_H-M_alt 'P 1'
_space_group_IT_number 1
_cell_length_a 7.060
_cell_length_b 7.060
_cell_length_c 7.322
_cell_angle_alpha 99.27
_cell_angle_beta 99.27
_cell_angle_gamma 120.12
loop_
_space_group_symop_operation_xyz
'x,y,z'
loop_
_atom_site_label
_atom_site_fract_x
_atom_site_fract_y
_atom_site_fract_z
S1 0.074 0.414 0.224
S2 0.414 0.074 0.224
S3 0.734 0.734 0.222
Ac1 0.164 0.836 0.500
Ac2 0.500 0.500 0.500
Y1 0.333 0.667 0.000
Pm1 0.000 0.000 0.000
Y2 0.667 0.333 0.000
S4 0.926 0.586 0.776
S5 0.586 0.926 0.776
S6 0.266 0.266 0.778
Ac3 0.836 0.164 0.500

=====

Magnetization / μB/f.u.: 0.00 0.00 0.00

=====

No. 1
Entry from Alexandria: a relaxed TbMg3Ag4 crystal (PBE).

Unit cell a=4.8261 b=4.8261 c=6.9658 alpha=90.00 beta=90.00 gamma=90.00
Fractional positions:
Tb 0.0000 0.0000 0.0000
Mg 0.0000 0.0000 0.5000
Mg 0.5000 0.5000 0.0000
Mg 0.5000 0.5000 0.5000
Ag 0.0000 0.5000 0.2688
Ag 0.0000 0.5000 0.7312
Ag 0.5000 0.0000 0.2688
Ag 0.5000 0.0000 0.7312

Output
Space-group type   P4/mmm


No. 2
Entry from Alexandria: a relaxed TbMgAg2 crystal (PBE).

Unit cell a=5.1227 b=5.1227 c=3.3195 alpha=90.00 beta=90.00 gamma=90.00
Fractional positions:
Tb 0.0000 0.0000 0.0000
Mg 0.5000 0.5000 0.0000
Ag 0.0000 0.5000 0.5000
Ag 0.5000 0.0000 0.5000

Output
Space-group type   P4/mmm


No. 3
Entry from Alexandria: a relaxed TbMgAg4 crystal (PBE).

Unit cell a=5.2388 b=5.2388 c=7.1639 alpha=108.99 beta=108.99 gamma=41.09
Fractional positions:
Tb 0.0000 0.0000 0.0000

Livecast on 9 September 2020

Many statues and monuments related to historical figures and events connected to the histories of colonialism have had an important role during the recent Black Lives Matter demonstrations. Statues have been toppled or defaced in different cities around the world, as a way of protesting, challenging and changing present-day narratives, perspectives about the past and commemorative traditions.
During this lecture, we aim to reflect on the role of statues and monuments in the public space in the context of contemporary identity politics in three European countries with long-lasting colonial histories: the Netherlands, the UK and Portugal. What function have statues and monuments served historically and continue to serve (or not) in our postcolonial present? What does it mean to destroy statues or to build new ones? Why have they taken on such an important role during the recent protests? To explore questions such as these, we have invited four speakers to engage in a conversation with each other, the moderators (Sofia Lovegrove and Remco Vermeulen) and the audience. We hope that by looking at different contexts together, and from the perspective of different disciplines, we can contribute to recent and ongoing discussions about these topics.


We are happy to announce the following confirmed speakers: Ann RigneyBruno Sena Martins and Rebecca Senior. More information about the confirmed and the remaining speakers will follow shortly.

The livecast will be English spoken

Register by emailing lezingen@icomos.nl.
